I wrote this short story as an assignment for a class in college. It’s curated for a good grade based on the professor’s apparent preferences, so it’s not really my style. But it’s good to be taken out of your comfort zone. It’s speculative fiction and fantasy, and I usually like to write realistic fiction. […]
Book Review: Gallagher Girl Series by Ally Carter
After I read the mammoth War and Peace, I wanted something quick and easy to read. On impulse, I reread a series I read (and read, and reread, and reread) in middle school. This story and characters have stuck with me surprisingly poignantly, perhaps the most out of anything I’ve ever read. I don’t really […]
The Necessity of Comfort Books
I don’t know if a definitive definition of comfort books exists, so here’s how I define it: light, easy reads that you can return to whenever you’re in need of comfort. Bonus points if the story itself brings you comfort, whether you are actively reading it or not. My comfort books are the Gallagher Girl […]
Book Review: War and Peace by Leo Tolstoy
(Records of crystals from another source follow)
*w*
InAs2F PBE optimized geometry; symmetry = I-42d; V = 81 Å³/f.u.; DOS(E_F) = 5.70 states/eV per cell
1.0
3.8058 0.0000 0.0000
0.0000 3.8058 0.0000
0.0000 0.0000 22.3166
In As F
4 8 4
direct
0.0000 0.0000 0.0000 In
0.0000 0.5000 0.2500 In
0.5000 0.0000 0.7500 In
0.5000 0.5000 0.5000 In
0.2102 0.2500 0.6250 As
0.2500 0.7102 0.8750 As
0.2500 0.7898 0.3750 As
0.2898 0.2500 0.1250 As
0.7102 0.7500 0.1250 As
0.7500 0.2102 0.3750 As
0.7500 0.2898 0.8750 As
0.7898 0.7500 0.6250 As
0.0000 0.0000 0.5000 F
0.0000 0.5000 0.7500 F
0.5000 0.0000 0.2500 F
0.5000 0.5000 0.0000 F

*x*
InAs2F PBE optimized geometry; symmetry = Fm-3m; V = 72 Å³/f.u.; DOS(E_F) = 7.71 states/eV per cell
1.0
6.6161 0.0000 0.0000
0.0000 6.6161 0.0000
0.0000 0.0000 6.6161
In As F
4 8 4
direct
0.0000 0.0000 0.0000 In
0.0000 0.5000 0.5000 In
0.5000 0.0000 0.5000 In
0.5000 0.5000 0.0000 In
0.2500 0.2500 0.2500 As
0.2500 0.2500 0.7500 As
0.2500 0.7500 0.2500 As
0.2500 0.7500 0.7500 As
0.7500 0.2500 0.2500 As
0.7500 0.2500 0.7500 As
0.7500 0.7500 0.2500 As
0.7500 0.7500 0.7500 As
0.0000 0.0000 0.5000 F
0.0000 0.5000 0.0000 F
0.5000 0.0000 0.0000 F
0.5000 0.5000 0.5000 F

Least stable structure: *x*

* * * * *

DFT (PBE) results for a relaxed structure of CrCoMo2.

a b c (Å): 9.1559 9.1559 9.1559
angles (deg): 16.72 16.72 16.72
Fractional coordinates of all 4 atoms:
Cr: 0.0000 0.0000 0.0000
Co: 0.5000 0.5000 0.5000
Mo: 0.2469 0.2469 0.2469
Mo: 0.7531 0.7531 0.7531

Summary:
E_tot	-36.899	eV/cell
space group	R-3m
energy above the lowest structure with this stoichiometry	249	meV/atom
total magnetization	0.99	Bohr magnetons per cell
formation energy	0.373	eV/atom


DFT (PBE) results for a relaxed structure of CrCoMo2.

a b c (Å): 4.9432 4.9432 4.9432
angles (deg): 143.59 129.29 64.02
Fractional coordinates of all 4 atoms:
Cr: 0.0000 0.0000 0.0000
Co: 0.7486 0.2486 0.5000
Mo: 0.2346 0.7346 0.5000
Mo: 0.4876 0.4876 0.0000

Summary:
E_tot	-37.666	eV/cell
space group	Imm2
energy above the lowest structure with this stoichiometry	57	meV/atom
total magnetization	1.45	Bohr magnetons per cell
formation energy	0.181	eV/atom


DFT (PBE) results for a relaxed structure of CrCoMo.

a b c (Å): 3.9899 3.9899 3.9899
angles (deg): 60.00 60.00 60.00
Fractional coordinates of all 3 atoms:
Cr: 0.0000 0.0000 0.0000
Co: 0.7500 0.7500 0.7500
Mo: 0.5000 0.5000 0.5000

Summary:
E_tot	-25.601	eV/cell
space group	F-43m
energy above the lowest structure with this stoichiometry	654	meV/atom
total magnetization	2.85	Bohr magnetons per cell
formation energy	0.653	eV/atom


DFT (PBE) results for a relaxed structure of CrCoMo2.

a b c (Å): 2.6133 4.2763 4.9775
angles (deg): 90.00 99.50 90.00
Fractional coordinates of all 4 atoms:
Cr: 0.0000 0.0000 0.0000
Co: 0.2300 0.5000 0.7479
Mo: 0.5262 0.0000 0.5120
Mo: 0.7622 0.5000 0.2318

Summary:
E_tot	-37.702	eV/cell
space group	Pm
energy above the lowest structure with this stoichiometry	48	meV/atom
total magnetization	1.93	Bohr magnetons per cell
formation energy	0.172	eV/atom
(Here the piece continues)
The main emotions I had after reading War and Peace were: How I wish Prince Andrei had a better ending! and How in the world did Leo Tolstoy write this thing? Like, seriously, how? I’m not sure anyone else could have pulled this off. This book just seems so much more than a novel. It’s […]
- - -
Record 1
VASP calculation (GGA-PBE) on a geometry-optimized VFeAg2 structure.

Cell and atoms, written as POSCAR:
```
VFeAg2
1.0
-3.615 3.615 2.606
3.615 -3.615 2.606
3.615 3.615 -2.606
V Fe Ag
2 2 4
Cartesian
0.000 0.000 0.000
0.000 3.615 1.303
3.615 0.000 1.303
0.000 0.000 2.606
1.807 1.904 -0.652
5.326 1.807 0.652
1.807 1.711 1.955
-1.711 1.807 3.258
```

Values from the calculation:
energy of formation from the pure elements: 929 meV per atom
energy above the lowest structure with this stoichiometry: 392 meV per atom
D(E_F): 11.1 states/eV per cell
space-group type: I-42d, No. 122

***

Record 2
VASP calculation (GGA-PBE) on a geometry-optimized YBePt3 structure.

Cell and atoms, written as POSCAR:
```
YBePt3
1.0
-2.437 2.437 9.953
2.437 -2.437 9.953
2.437 2.437 -9.953
Y Be Pt
2 2 6
Cartesian
0.000 0.000 0.000
0.000 2.437 4.977
2.437 0.000 2.651
2.437 0.000 7.302
0.000 0.000 7.301
0.000 1.210 2.476
0.000 0.000 12.606
-1.227 2.437 7.477
0.000 3.664 2.476
1.227 2.437 7.477
```

Values from the calculation:
energy of formation from the pure elements: -205 meV per atom
energy above the lowest structure with this stoichiometry: 752 meV per atom
D(E_F): 2.6 states/eV per cell
space-group type: I-4m2, No. 119

***

Record 3
VASP calculation (GGA-PBE) on a geometry-optimized AlCr2Mo structure.

Cell and atoms, written as POSCAR:
```
AlCr2Mo
1.0
1.518 -2.150 0.000
1.518 2.150 0.000
0.000 0.000 8.292
Al Cr Mo
1 2 1
Cartesian
0.000 0.000 0.000
0.000 0.000 4.368
1.518 0.000 6.223
1.518 0.000 2.251
```

Values from the calculation:
energy of formation from the pure elements: 27 meV per atom
D(E_F): 2.6 states/eV per cell
space-group type: Cmm2, No. 35

***

Record 4
VASP calculation (GGA-PBE) on a geometry-optimized HoBe2Pd3 structure.

Cell and atoms, written as POSCAR:
```
HoBe2Pd3
1.0
9.048 0.000 0.000
-4.524 7.836 0.000
0.000 0.000 3.866
Ho Be Pd
3 6 9
Cartesian
0.000 0.000 0.000
0.000 5.224 1.933
4.524 2.612 1.933
0.000 2.850 0.000
-2.056 6.411 0.000
2.468 1.425 0.000
2.056 6.411 0.000
6.580 1.425 0.000
4.524 4.986 0.000
-1.329 2.302 1.933
-2.262 3.918 0.000
-3.195 5.534 1.933
2.658 0.000 1.933
1.329 2.302 1.933
4.524 0.000 0.000
2.262 3.918 0.000
6.390 0.000 1.933
3.195 5.534 1.933
```

Values from the calculation:
energy of formation from the pure elements: -583 meV per atom
D(E_F): 10.9 states/eV per cell
space-group type: P6/mmm, No. 191

***

Record 5
VASP calculation (GGA-PBE) on a geometry-optimized AlSbTe2Au structure.

Cell and atoms, written as POSCAR:
```
AlSbTe2Au
1.0
5.619 0.000 0.000
0.000 5.619 0.000
0.000 0.000 5.236
Al Sb Te Au
1 1 2 1
Cartesian
0.000 0.000 0.000
2.809 2.809 0.000
0.000 2.809 2.618
2.809 0.000 2.618
2.809 2.809 2.618
```

Values from the calculation:
energy above the lowest structure with this stoichiometry: 0 meV per atom
D(E_F): 3.9 states/eV per cell
energy relative to the elements, uncorrected: 0.569 eV per atom
space-group type: P4/mmm, No. 123

***

Record 6
- - -
Momentarily: A Short Story
I have always heard people say, “I forgot who I was.” But I had no idea how literally they meant it. Now, as I look through pictures of myself taken just 3 months before, a stranger looks back at me. Her smile, the way her eyes held the faintest shimmer, her vibrant aura, even the […]
When I Came Back: A Short Story
When I came back, none of them knew what to make of me. I would walk along the familiar corridors, and they would watch me as if my very stride could give them some indication. A lot of cautious smiles, studious glances, awkward attempts at conversation, decaying trust, and lost connection. I tried to convince […]
Popular Books I Hated
A lot of popular books that circulate bestseller’s lists and social media aren’t “worth the hype.” Even books that have stood the test of time and are considered classics are sometimes overrated. The following are popular books that I hated—not books that I just didn’t care for, or books that confused me as to why […]
Little Update: Text-to-Speech
*highlight the text for you to hear it as audio* Someone recently requested text-to-speech capability for my blog, which I’m so grateful to that person for doing. I hope this site is more accessible now for those who are visually-impaired or have reading disabilities. Or for people who would just rather listen. I have added […]
His imaginary conversion: A Poem
It’s Snippet Sunday! This poem was written by writing down random things a professor was saying and then compiling the words into a poem. I did this during a boring virtual class, and they usually turned out extraordinarily mediocre. But I kind of liked this one: His imaginary conversion and its roots in my […]
Playlist Prompt #2: The Cowboy of Providence Senior Living Facility
• Between two parts of the article: data records:
No. 1
Compound: CoGeAs
Source: Alexandria via LeMat-Bulk
Functional: GGA-PBE
Structure: relaxed

Lattice parameters (Å, degrees): 5.9308 6.1578 7.9252 73.95 89.80 89.58
Space group P-1 (No. 2)
Asymmetric unit:
Co: 0.0000 0.0000 0.0000 x1
Co: 0.0035 0.3327 0.6539 x2
Co: 0.4974 0.1657 0.3231 x2
Co: 0.5000 0.5000 0.0000 x1
Ge: 0.1336 0.6199 0.0656 x2
Ge: 0.3650 0.7852 0.4020 x2
Ge: 0.3660 0.4572 0.7242 x2
As: 0.1371 0.2910 0.3868 x2
As: 0.1380 0.9543 0.7309 x2
As: 0.3641 0.1220 0.0576 x2

Output
ΔH_f (0 K): -0.19 eV/atom

---

No. 2
Compound: NbSnPtAu2
Source: Alexandria via LeMat-Bulk
Functional: GGA-PBE
Structure: relaxed

Lattice parameters (Å, degrees): 4.9443 4.9443 5.2591 90.00 90.00 90.00
Space group P4/mmm (No. 123)
Asymmetric unit:
Nb: 0.0000 0.0000 0.0000 x1
Sn: 0.0000 0.0000 0.5000 x1
Pt: 0.5000 0.5000 0.0000 x1
Au: 0.0000 0.5000 0.5000 x2

Output
ΔH_f (0 K): 1.30 eV/atom

---

No. 3
Compound: Ti5Nb12Ga3
Source: Alexandria via LeMat-Bulk
Functional: GGA-PBE
Structure: relaxed

Lattice parameters (Å, degrees): 15.3452 15.3452 15.3452 90.00 90.00 90.00
Space group Ia-3d (No. 230)
Asymmetric unit:
Ti: 0.0000 0.0000 0.0000 x16
Ti: 0.0000 0.2500 0.3750 x24
Nb: 0.0060 0.0791 0.6487 x96
Ga: 0.0000 0.2500 0.1250 x24

Output
ΔH_f (0 K): 1.15 eV/atom

---

No. 4
Compound: BMoRu3
Source: Alexandria via LeMat-Bulk
Functional: GGA-PBE
Structure: relaxed

Lattice parameters (Å, degrees): 4.6438 4.6438 4.6438 90.00 90.00 90.00
Space group Pm-3m (No. 221)
Asymmetric unit:
B: 0.0000 0.0000 0.0000 x1
Mo: 0.5000 0.5000 0.5000 x1
Ru: 0.0000 0.5000 0.5000 x3

Output
ΔH_f (0 K): 2.47 eV/atom

---

No. 5
Compound: BaInSn2
Source: Alexandria via LeMat-Bulk
Functional: GGA-PBE
Structure: relaxed

Lattice parameters (Å, degrees): 7.8021 5.4380 12.7771 90.00 90.00 90.00
Space group Pnma (No. 62)
Asymmetric unit:
Ba: 0.1548 0.2500 0.1489 x4
In: 0.1577 0.2500 0.4263 x4
Sn: 0.0289 0.2500 0.6498 x4
Sn: 0.1535 0.2500 0.8683 x4

Output
ΔH_f (0 K): -0.41 eV/atom

---

No. 6
Compound: VRePW2
Source: Alexandria via LeMat-Bulk
Functional: GGA-PBE
Structure: relaxed

Lattice parameters (Å, degrees): 4.5835 4.5835 4.1366 90.00 90.00 90.00
Space group P4/mmm (No. 123)
Asymmetric unit:
V: 0.0000 0.0000 0.0000 x1
Re: 0.5000 0.5000 0.5000 x1
P: 0.0000 0.0000 0.5000 x1
W: 0.0000 0.5000 0.0000 x2

Output
ΔH_f (0 K): 1.68 eV/atom
It’s been a minute, but here is the second playlist prompt. It has more classic (mostly soft) country, with a very random Ed Sheeran. Here’s a link if you missed the first prompt, or just want to revisit it. Hope it inspires or amuses, and have fun writing! Playlist Prompt #2: The Cowboy of Providence […]